The 3rd Tellus Satellite Challenge! ~ Check out the Winners’ Models ~
The third Tellus Satellite Challenge was held with a mission to "detect the extent of sea ice." In this article, we explain the challenge and introduce the approaches of the winning teams.
(1) What is the Tellus Satellite Challenge?
“Tellus” is a satellite data platform intended to support industries across the globe. It is a project undertaken by the Japanese government as a part of their “2030 Space Industry Vision” initiative with the goal of doubling the scale of the space industry by early 2030. As a part of the Tellus project, the “Tellus Satellite Challenge” is a series of data analysis contests held to promote the use of Tellus, increase awareness of satellite data, discover new talent in field data science, and visualize examples of satellite data.
The two Tellus Satellite Challenges that have been held so far are:
The themes of the first and second challenges were introduced in previous articles.

Talent in the AI industry from around the world have participated in the challenges, taking on issues using tools such as SAR and high-resolution optical data. We received the best practice for utilizing satellite data.
The third Tellus Satellite Challenge took on the “detection of sea ice extent.” Below we will explain the gist of the challenge and the approaches taken by the winners.
Article written in collaboration with: Toru Saito (SIGNATE), Noriyuki Aoi (SIGNATE)
(2) The Theme for the Third Challenge
The theme for the third challenge is “using SAR data to detect the extent of sea ice.”
Every year, ice can be seen drifting around the Sea of Okhotsk in Hokkaido. The beautiful ice is used as a tourist attraction, with ice watching tours being very popular. For the fishing and shipping industries, however, drift ice is a risk that can sink a ship, so it is important for the crew to be aware of where it is at all times.
To help ships know about ice conditions (including drift ice) around Hokkaido, a report is released daily by the 1st Regional Coast Guard Headquarters (the Japan Coast Guard). Information for the report is gathered through a combination of air and sea-based surveillance, and analysis of satellite imagery of sea ice taken from space. Of these, satellites stand out for their ability to cover large quantities of the ocean at any given time, unaffected by night time or weather thanks to synthetic-aperture radar (SAR) technology.
That being said, it currently takes a high level of skill to decipher SAR data on sea ice. Which brings us to the objective of this challenge: to develop an algorithm that accurately detects the extent of sea ice using SAR data.
The data that will be used is observational data taken by the Advanced Land Observation Satellite “Daichi 2” (ALOS-2) equipped with the PALSAR-2. The PALSAR-2 is a synthetic-aperture radar (SAR) that reflects electro-magnetic waves off of the earth’s surface to collect information about it. One of the characteristics of SAR is that it is unaffected by the time of day and weather. For details please refer to this article (“Detection of Sea Ice Extent Via Satellite Imagery” Competition by SIGNATE, Its Purpose and the Utilization of Images).
Ideally, we will be able to understand the following through the challenge.
– How capable AI is of aiding specialists in deciphering data?
– How accurate can an analysis using only satellite data be without the supplementation of surveillance data gathered on land?
The third challenge received 2,074 model cases from 557 participants during the contest period from October 4, 2019, to November 30, 2019. This very difficult challenge was met with many different high-tech AI. The contest was also very international, with seven of the top ten teams being from overseas.
(3) Summary of the Challenge
For this challenge, the IoU (intersection over union) index was used to evaluate the entries. This is an index used to indicate how much of an overlap there is with the image data and the actual extent of sea ice. It is a zero to one scale, with one being a perfect match. The higher the IoU is, the higher the accuracy.

IoU is a common index for measuring segmentation tasks such as this. It is known for its sensitivity towards differences, with even small differences showing comparatively large changes. To get a high IoU score, it is necessary to capture even the smallest details in the curvature of the sea ice. As a reference, a score of over 0.8 is considered very accurate.

80 different scenes were distributed as learning data, with HH polarization and HV polarization versions of each SAR image. These pictures have been labeled (annotated) at the pixel level.
There are seven different types of labels based on sea ice density starting at 0 (no ice), 1 (sea ice levels 1-3), 4 (sea ice levels 4-6), 7 (sea ice levels 7-8), 9 (sea ice levels 9-10), 11 (lake), and 12 (land). Of these, the 1, 4, 7, and 9 labels for territories are defined as containing sea ice.
40 scenes were prepared to be used for evaluation, each given an HH polarization and HV polarization just like the data used for learning.
(4) Main Issues
There are two main issues for this challenge.
The first issue is that a single image is extremely large. A single image contains over 10,000 pixels, which makes it difficult to turn one directly into a model, so it is important to make it work with a smaller model size.
The other issue is the low contrast. As can be seen here, both HH and HV polarization images are very dark, making it is hard to tell if there is sea ice with the naked eye. That means that the entrants must skillfully construct a machine learning model that can pick up the subtle characteristics of the sea ice captured via SAR. In order to do this, they will have to prepare the images for processing while taking into account aspects of both HH and HV polarizations.
(5) Best Practices by the Winners
Now let’s take a look at the approaches taken by each winner.
There were a few common points in the approaches taken by the winning teams. For example:
– Downscaling
– Sliding Window Protocol
– Label Image Thresholding
– Transfer Learning Through ImageNet for the Precision Segmentation Model
– Ensemble Learning
These were the methods used by many of the teams.
To downscale an image is to remove some of the finer parts of the data and the noise it contains. On the other hand, through using the sliding window protocol, the model size can be slimmed down to an extent while retaining the information in the finer details.
Label image thresholding is to take the challenge of differentiating between the seven levels of sea ice densities and interchange it with an easier to understand method of measuring ice density (the extent of sea ice needs to be identified anyway, so this could be considered a natural process.)
Since there were only 80 images for this challenge, many of the winning teams used transfer learning from ImageNet. This involved using a SOTA (state of the art) segmentation model. Furthermore, in order to increase accuracy, there was a tendency for teams to use ensemble learning.
Below, we will take a deeper look into the pre-processing, modeling, and post-processing for approaches taken by each of the winning teams.
(6) A Closer Look at the Pre-process Approaches of Each Winner
Let’s start with how the images were pre-processed.
The first-place team downscaled their images, but kept them close to their original sizes at 8192 x 8192. They paired this with the sliding window protocol, with which they slid their windows to generate cropped images of 2028 x 2048, from which they downscaled to 512 x 512 and 1024 x 1024 pictures. It should be noted that they figured out a way to differentiate many of the finer details without cutting out too much information.
They then created three-channel images by creating new images from the geometric average of the HH and HV polarization images. Through their testing, they found that adding images with the geometric average provided higher accuracy than ones with the arithmetic average. Making them three-channel was also used in the transfer learning via ImageNet during the modeling phase. They used RGB images as standard by ImageNet.
If we take a look at the second-place winners, they downscaled the images to 0.25 times its original size and used the sliding window protocol to crop the images down to 512 x 512.
Compared to the first-place team, that is quite the downscaling. It seems they gave up on differentiating the finer details and tried to get rid of as much noise as they could. The second-place team made three-channel images, just like the first-place team, but the images they added were the arithmetic averages of the HH and HV polarization images.
The third-place team downscaled to 2048 x 3008 without using the sliding window protocol. This was likely done to avoid misdetection. Like the first and second-place teams, they also used three-channel images, but of the top three teams, they used the most simple approach to make them with two HH polarization images and 1 HV polarization image.
The teams that came in first and third inverted their images vertically and horizontally to supplement their predictions, but the second-place team chose not to do so.

(7) A Closer Look at the Modeling Approaches of Each Winner
Next let’s look at the model cases.
The first-place team used four SOTA segmentation models called HighResolutionNet and eight UNet models (the encoder is EfficientNet) for a total of 12 deep learning models, and transfer learning to acquire models already learned by ImageNet. They made two versions of UNet depending on the learning condition, so they effectively made three types of models. The structure of their HighResolutionNet and UNet network can be seen below.
HighResolutionNet is a subnetwork with four stages running parallel. These are designed to interact with feature maps of different scales by having them constantly transmit their 1x resolution (HR). This takes a high-resolution subnetwork and gradually adds lower resolution subnetworks. For the final stage there is an output of four scales, but only the scale with the highest output of 1x is used. Please refer to for more details.
UNet is a deep learning model used primarily in the medical field to differentiate images, and by using skip motion, it retains location data normally lost in the convolution and pooling stages. The name “UNet” comes from the fact the model looks like the letter U. Please refer to for more details.

The first-place team inputted 512 x 512 images for HighResolutionNet, and 1024 x 1024 images for UNet. In other words, it seems they took a rough look at their HighResolutionNet models, and a more detailed look at their UNet models.
The second-place team, however, used UNet, and three types of models for each encoder (ResNext101, Senet154, Dpn92). Similar to the first-place team, they used transfer learning to learn what ImageNet had already learned, and created a five-fold learning pattern which gave them a total of 3×5=15 patterns. This is a technique often used called “bugging.” It looks like they made up for not supplementing their prediction image data by making more models.
The third-place team, like the second-place team, used UNet, and created two types of models for each encoder (DenseNet161 and Dpn92). They also went with transfer learning to learn from ImageNet. They created a four-fold learning pattern which gave them a total of 2×4=8 models.
All three teams required quite a bit of machine power to process the learning for their multiple heavy models. In any case, the winners were able to use high-level techniques to meet the requirements of this challenge.
(8) A Closer Look at the Post-process Approaches of Each Winner
The final phase of the process is the post-processing, where the teams fine-tune their modeling results.
First, the first-place team used the averages for each type of model, combining the three results to get an average they used for their submission. This was the most efficient size image according to their tests. The second and third-place teams, on the other hand, simply submitted their averages.

Let’s take a closer look. First is a comparison of the accuracy.

A tentative score was given halfway through the contest, with the final score being given at the end of the contest. The data used for the evaluation was split up into two parts, each receiving a tentative and final score. All three teams received scores of over 0.8 points, which means that their images were highly accurate.
It was a close call between the first through third places, with the third-place winner winning the tentative score. The tentative score and final scores tended not to change too much, which shows that each model was highly versatile. It also looks like the ensemble of multiple SOTA deep learning models was a key factor in winning. Among the winners, combining averages efficiently to properly fine-tune the input image created was what brought the first-place winner to the top.
Next, let’s take a look at the distribution of IoU graphs.

### Here the piece breaks off for crystal structures
┌──
# 1
# SbPbO3

An optimized crystal structure of SbPbO3 (PBE, the Materials Project database).

Cell lengths 4.2166, 4.2166, 4.2166 Å; angles 90.00, 90.00, 90.00 degrees
With the nearest neighbours (Å) after each atom.
Sites, in units of the cell vectors:
Sb 0.0000 0.0000 0.0000  6 O 2.11
Pb 0.5000 0.5000 0.5000  12 O 2.98
O 0.0000 0.0000 0.5000  2 Sb 2.11
O 0.0000 0.5000 0.0000  2 Sb 2.11
O 0.5000 0.0000 0.0000  2 Sb 2.11

V = 75.0 Å³ per cell
calculated formation energy = -754 kJ/mol of formula units
total moment = 0.000 μB per formula unit

---

# 2
# Na3Zn3InS6O24

An optimized crystal structure of Na3Zn3InS6O24 (PBE, the Materials Project database).

Cell lengths 8.8033, 8.8132, 22.7297 Å; angles 89.93, 89.97, 60.05 degrees
With the nearest neighbours (Å) after each atom.
Sites, in units of the cell vectors:
Na 0.0000 0.0000 0.0000  6 O 2.48-2.65
Na 0.9999 0.0368 0.4913  3 O 2.33-2.45
Na 0.0315 0.3228 0.9210  5 O 2.38-2.54
Na 0.3335 0.7161 0.5813  6 O 2.41-2.67
Na 0.3341 0.3516 0.3309  6 O 2.51-2.64
Na 0.3515 0.3529 0.8323  6 O 2.50-2.67
Na 0.6676 0.6854 0.1617  6 O 2.46-2.65
Na 0.6865 0.6649 0.6670  6 O 2.43-2.69
Na 0.6983 0.9874 0.5808  6 O 2.41-2.68
Zn 0.0010 0.0104 0.8468  6 O 2.04-2.21
Zn 0.0009 0.0263 0.6557  5 O 1.99-2.19
Zn 0.0018 0.0177 0.3477  6 O 2.06-2.18
Zn 0.3302 0.3519 0.6835  6 O 2.08-2.15
Zn 0.3309 0.3511 0.4824  6 O 2.08-2.12
Zn 0.3356 0.3515 0.1808  6 O 2.06-2.18
Zn 0.3429 0.3519 0.9893  6 O 2.00-2.24
Zn 0.6636 0.6895 0.0180  6 O 2.08-2.14
Zn 0.6756 0.6770 0.5077  3 O 1.99-2.06
In 0.0017 0.0189 0.1492  6 O 2.13-2.19
In 0.6631 0.6894 0.8168  6 O 2.12-2.20
In 0.6685 0.6846 0.3172  6 O 2.13-2.17
S 0.0044 0.3160 0.7516  4 O 1.48-1.51
S 0.0055 0.7170 0.2506  4 O 1.47-1.51
S 0.0366 0.3543 0.0808  4 O 1.47-1.51
S 0.0379 0.6462 0.5836  4 O 1.47-1.51
S 0.2985 0.7185 0.7472  4 O 1.47-1.51
S 0.2992 0.0220 0.2506  4 O 1.47-1.51
S 0.3329 0.0566 0.5832  4 O 1.47-1.51
S 0.3375 0.6469 0.0828  4 O 1.47-1.51
S 0.3639 0.6855 0.4194  4 O 1.48-1.50
S 0.3673 0.9863 0.9174  4 O 1.46-1.50
S 0.6304 0.0529 0.0830  4 O 1.47-1.51
S 0.6308 0.3516 0.5834  4 O 1.48-1.50
S 0.6669 0.3853 0.9169  4 O 1.48-1.51
S 0.6688 0.9887 0.4193  4 O 1.48-1.50
S 0.7004 0.3155 0.2506  4 O 1.47-1.51
S 0.7018 0.0210 0.7472  4 O 1.47-1.51
S 0.9682 0.6851 0.9176  4 O 1.47-1.51
S 0.9724 0.3801 0.4168  4 O 1.48-1.49
O 0.0167 0.2207 0.8069  1 S 1.48
O 0.0188 0.1926 0.0841  1 S 1.51
O 0.0195 0.8259 0.5879  1 S 1.51
O 0.0212 0.8046 0.3035  1 S 1.47
O 0.1163 0.5448 0.6377  1 S 1.47
O 0.1281 0.3673 0.1328  1 S 1.47
O 0.1327 0.3352 0.0247  1 S 1.49
O 0.1441 0.5247 0.9229  1 S 1.49
O 0.1487 0.3622 0.4213  1 S 1.48
O 0.1487 0.5647 0.5312  1 S 1.48
O 0.1626 0.3342 0.7473  1 S 1.48
O 0.1630 0.5416 0.2456  1 S 1.48
O 0.1770 0.8274 0.0855  1 S 1.51
O 0.1778 0.0305 0.5889  1 S 1.50
O 0.1885 0.0060 0.9122  1 S 1.50
O 0.1903 0.8457 0.4131  1 S 1.48
O 0.1949 0.8104 0.7995  1 S 1.47
O 0.1961 0.0371 0.3034  1 S 1.47
O 0.2208 0.8144 0.6911  1 S 1.49
O 0.2223 0.9950 0.1959  1 S 1.49
└──

At a glance, they all have similar distributions. Most of them had a score of over 0.8, but there are one or two examples of the differentiation below 0.5 being hard to make.
So let’s examine each of the actual output results. First, the images below have an IoU value of over 0.95, which are almost perfect.

The red color is the outline of the predicted area, and the blue color is the actual area. It is a little hard to see, but the upper left part of the pictures are made up of sea ice, and the white part in the lower right is an island. You can tell that the outlines are almost perfectly in sync.
Next, let’s take a look at an IoU value of 0.86.

The left side of the territory shown in the picture is made up of sea ice. It has almost the entire area covered, but there is territory that hasn’t been detected. finally let’s look at some examples of IoU values under 0.6.

They have very low amounts of surface area that are accurate, and they are convoluted, which makes them hard to understand.
Taking a look at the first line, while they captured the general shape of the ice, first and second placed winners look particularly similar, which makes the misdetections stand out. First and second winners utilized the sliding window protocol, which likely led to many misdetections. The third-placed winner only performed downscaling, which seems to have led to less misdetections.
The second and third lines of images, on the other hand, shows more detailed shapes than that of the first and second placed winners images, but the third-placed winner only has a rough outline of the shape. For these lines, it looks like using the sliding window protocol made a difference.
In summary, it looks like using the sliding window protocol allowed the first and second placed winners’ images to pull ahead by effectively capturing the finer details. It looks like if the actual area of detection is smaller, it may be harder to accurately identify the image. With that, let’s take a look at the relationship between the IoU values and the actual surface area amongst all winners.

The X-axis shows a value that has been normalized from a logarithm for the actual surface area. The correlation coefficient is 0.722, which was recognized as the actual correlation. It looks like having less actual surface area when trying to make a detection leads to higher difficulty. This is likely because it increases the chance to make a misdetection, and makes it harder to see the extent of sea ice.
(9) An Overall Contest Evaluation
The contests resulted in a very close match with all of the winners achieving scores of over 0.8. The basic methods were all similar, and the efficient deep learning modeling approach to SAR images seems to stand out.
The SAR images used for this contest were originally 16-bit, but they were dropped to 8-bit for data reasons. Some of the information was lost by making them 8-bit, and keeping them 16-bit would have improved some of the scores of examples that had a hard time reading the images, which may have led to higher accuracy.
We also received comments from the participants, including: “The quality of the data was great” “It was a lot of fun” and “I would like to participate in the next contest.” We believe that the contest not only saw excellent results in terms of data, but was also very significant in spreading the word about Tellus.